# Assignment
Your job: quote the material underneath from the line with "0.2 -0.5" to the end character by character.
# Contents
=====
Molecular formula: C24H29N5O4
Method: DFT, ωB97M-V/def2-TZVPD

Results
SMILES: COc1cccc(CN2CCNC(=O)[C@@H]2CC(=O)NCc2cn3ccc(C)cc3n2)c1OC
Electronic energy (eV): -40999.502
E_LUMO (eV): 0.628
Total charge: 0
Kohn-Sham gap (eV): 8.68

Cartesian coordinates (Å):
C: -0.47805 6.97352 0.44926
H: -0.95691 7.51856 1.26176
O: 0.02699 5.80005 1.03280
C: 0.60081 4.85480 0.22544
C: 0.87219 5.07702 -1.11748
C: 1.53333 4.12798 -1.87767
C: 1.90159 2.92976 -1.30609
C: 1.58509 2.65125 0.01745
C: 0.95146 3.61853 0.80705
O: 0.78349 3.29637 2.11981
C: -0.28041 3.85696 2.86892
H: -0.33236 3.26007 3.77976
H: -1.22051 3.77068 2.32234
H: -0.08858 4.89917 3.12681
C: 1.91009 1.29379 0.59973
N: 0.99743 0.19917 0.27454
C: 0.99728 -0.24487 -1.10254
H: 1.98840 -0.07915 -1.52433
H: 0.81419 -1.32623 -1.07698
C: -0.08513 0.43318 -1.98928
N: -0.79390 1.47689 -1.28627
C: -1.07238 1.46638 0.03473
O: -1.77358 2.30881 0.55640
C: -0.38602 0.30342 0.74164
C: -0.52863 0.34257 2.26251
H: 0.17828 1.04608 2.69833
H: -1.53470 0.68111 2.51329
C: -0.31467 -1.04119 2.85780
O: -1.06215 -1.53783 3.67638
N: 0.80791 -1.64672 2.40253
H: 1.24260 -1.22698 1.58461
C: 0.98744 -3.07248 2.54559
C: 0.37254 -3.80001 1.38920
C: -0.29989 -5.00105 1.40003
N: -0.69270 -5.22984 0.11767
C: -1.38287 -6.24394 -0.45111
C: -1.64527 -6.21155 -1.78459
C: -1.20671 -5.13163 -2.59085
C: -0.50985 -4.10754 -2.00619
C: -0.24149 -4.14315 -0.63090
N: 0.40159 -3.28181 0.13737
H: -0.15171 -3.26521 -2.57626
C: -1.51864 -5.14222 -4.05396
H: -1.10671 -4.26520 -4.54555
H: -2.59675 -5.15734 -4.21014
H: -1.10371 -6.03380 -4.52242
H: -2.19593 -7.01982 -2.23832
H: -1.69976 -7.04726 0.19684
H: -0.52059 -5.67386 2.20210
H: 0.50519 -3.38732 3.47409
H: 2.05952 -3.29057 2.60153
H: -0.88334 -0.61290 0.38703
H: -1.16928 2.24248 -1.82617
H: -0.80236 -0.32962 -2.32301
H: 0.36777 0.87839 -2.87801
H: 2.89570 0.97772 0.24418
H: 1.95762 1.37450 1.68555
H: 2.43698 2.19612 -1.89004
H: 1.76467 4.33854 -2.91116
H: 0.59650 6.01261 -1.57677
H: -1.22131 6.75272 -0.32333
H: 0.32021 7.59190 0.02434

Atomic forces in eV per Å
C -0.1 0.2 -0.1
H 0.0 0.0 -0.1
O 0.2 -0.5 0.0
C 0.0 0.1 0.1
C -0.1 0.1 0.1
C 0.1 -0.2 -0.1
C 0.1 0.2 0.0
C 0.1 0.3 0.2
C 0.2 -0.1 -0.2
O 0.3 0.1 -0.3
C -0.4 0.2 0.4
H 0.0 0.0 0.0
H 0.1 0.0 0.1
H 0.0 -0.2 0.0
C 0.0 0.1 0.2
N 0.0 -0.1 0.0
C 0.0 -0.2 -0.3
H 0.0 0.0 0.0
H 0.1 0.2 -0.1
C 0.0 -0.2 0.0
N -0.2 0.1 -0.3
C 0.0 -0.3 -0.4
O -0.2 0.2 0.4
C 0.0 0.1 0.3
C -0.2 -0.1 -0.1
H 0.0 0.0 0.0
H 0.1 -0.1 0.0
C 0.1 0.4 0.0
O -0.3 -0.1 0.1
N 0.4 -0.3 0.0
H -0.1 0.1 0.0
C 0.0 0.0 0.2
C -0.4 -0.6 0.1
C 0.4 0.4 0.8
N 0.2 0.5 -0.5
C -0.4 -0.5 -0.5
C 0.0 -0.1 0.4
C 0.3 0.5 0.1
C -0.3 -0.4 -0.4
C 0.1 -0.1 0.4
N 0.1 0.2 -0.2
H 0.0 0.1 -0.1
C 0.0 0.0 0.0
H 0.0 0.0 -0.1
H -0.1 0.0 -0.1
H 0.0 0.0 -0.1
H -0.1 -0.1 0.0
H 0.0 0.0 0.0
H -0.1 -0.2 0.1
H 0.2 0.0 -0.1
H -0.1 0.0 0.0
H 0.1 0.1 0.0
H 0.0 0.0 0.2
H 0.2 0.0 -0.1
H 0.0 0.0 0.0
H -0.1 0.1 0.1
H 0.1 0.0 -0.1
H 0.1 -0.1 -0.1
H 0.0 0.0 -0.1
H 0.0 0.1 0.0
H 0.0 0.0 0.0
H 0.0 0.0 0.0

Population analysis type Löwdin, resulting atomic charges in e:
1. C -0.08
2. H 0.10
3. O -0.10
4. C -0.18
5. C -0.02
6. C -0.09
7. C -0.07
8. C -0.13
9. C -0.16
10. O -0.08
11. C -0.06
12. H 0.10
13. H 0.09
14. H 0.09
15. C -0.09
16. N -0.13
17. C -0.15
18. H 0.11
19. H 0.08
20. C -0.14
21. N 0.08
22. C -0.44
23. O 0.07
24. C -0.19
25. C -0.02
26. H 0.11
27. H 0.13
28. C -0.49
29. O 0.06
30. N 0.07
31. H 0.11
32. C -0.12
33. C -0.25
34. C 0.00
35. N -0.01
36. C -0.03
37. C -0.03
38. C -0.28
39. C 0.04
40. C -0.26
41. N 0.16
42. H 0.11
43. C -0.05
44. H 0.08
45. H 0.08
46. H 0.08
47. H 0.11
48. H 0.13
49. H 0.12
50. H 0.12
51. H 0.12
52. H 0.17
53. H 0.15
54. H 0.11
55. H 0.11
56. H 0.13
57. H 0.12
58. H 0.11
59. H 0.10
60. H 0.10
61. H 0.10
62. H 0.10

=====

1.
The following is a DFT calculation (ωB97M-V/def2-TZVPD) of a 3-piece molecular cluster, CH8NO3 overall in a non-equilibrium geometry.

Geometry as XYZ:
```
13
Properties=species:S:1:pos:R:3:forces:R:3:lowdin_charge:R:1
=====
# Written answer
O 0.2 -0.5 0.0
C 0.0 0.1 0.1
C -0.1 0.1 0.1
C 0.1 -0.2 -0.1
C 0.1 0.2 0.0
C 0.1 0.3 0.2
C 0.2 -0.1 -0.2
O 0.3 0.1 -0.3
C -0.4 0.2 0.4
H 0.0 0.0 0.0
H 0.1 0.0 0.1
H 0.0 -0.2 0.0
C 0.0 0.1 0.2
N 0.0 -0.1 0.0
C 0.0 -0.2 -0.3
H 0.0 0.0 0.0
H 0.1 0.2 -0.1
C 0.0 -0.2 0.0
N -0.2 0.1 -0.3
C 0.0 -0.3 -0.4
O -0.2 0.2 0.4
C 0.0 0.1 0.3
C -0.2 -0.1 -0.1
H 0.0 0.0 0.0
H 0.1 -0.1 0.0
C 0.1 0.4 0.0
O -0.3 -0.1 0.1
N 0.4 -0.3 0.0
H -0.1 0.1 0.0
C 0.0 0.0 0.2
C -0.4 -0.6 0.1
C 0.4 0.4 0.8
N 0.2 0.5 -0.5
C -0.4 -0.5 -0.5
C 0.0 -0.1 0.4
C 0.3 0.5 0.1
C -0.3 -0.4 -0.4
C 0.1 -0.1 0.4
N 0.1 0.2 -0.2
H 0.0 0.1 -0.1
C 0.0 0.0 0.0
H 0.0 0.0 -0.1
H -0.1 0.0 -0.1
H 0.0 0.0 -0.1
H -0.1 -0.1 0.0
H 0.0 0.0 0.0
H -0.1 -0.2 0.1
H 0.2 0.0 -0.1
H -0.1 0.0 0.0
H 0.1 0.1 0.0
H 0.0 0.0 0.2
H 0.2 0.0 -0.1
H 0.0 0.0 0.0
H -0.1 0.1 0.1
H 0.1 0.0 -0.1
H 0.1 -0.1 -0.1
H 0.0 0.0 -0.1
H 0.0 0.1 0.0
H 0.0 0.0 0.0
H 0.0 0.0 0.0

Population analysis type Löwdin, resulting atomic charges in e:
1. C -0.08
2. H 0.10
3. O -0.10
4. C -0.18
5. C -0.02
6. C -0.09
7. C -0.07
8. C -0.13
9. C -0.16
10. O -0.08
11. C -0.06
12. H 0.10
13. H 0.09
14. H 0.09
15. C -0.09
16. N -0.13
17. C -0.15
18. H 0.11
19. H 0.08
20. C -0.14
21. N 0.08
22. C -0.44
23. O 0.07
24. C -0.19
25. C -0.02
26. H 0.11
27. H 0.13
28. C -0.49
29. O 0.06
30. N 0.07
31. H 0.11
32. C -0.12
33. C -0.25
34. C 0.00
35. N -0.01
36. C -0.03
37. C -0.03
38. C -0.28
39. C 0.04
40. C -0.26
41. N 0.16
42. H 0.11
43. C -0.05
44. H 0.08
45. H 0.08
46. H 0.08
47. H 0.11
48. H 0.13
49. H 0.12
50. H 0.12
51. H 0.12
52. H 0.17
53. H 0.15
54. H 0.11
55. H 0.11
56. H 0.13
57. H 0.12
58. H 0.11
59. H 0.10
60. H 0.10
61. H 0.10
62. H 0.10

=====

1.
The following is a DFT calculation (ωB97M-V/def2-TZVPD) of a 3-piece molecular cluster, CH8NO3 overall in a non-equilibrium geometry.

Geometry as XYZ:
```
13
Properties=species:S:1:pos:R:3:forces:R:3:lowdin_charge:R:1